The DATAlife team travelled to Vigo on October 10 to learn about the work carried out  by Néboda. This company showed us how they manage to harvest high-quality vegetables by applying the concepts of indoor vertical farming. We were also able to observe how they optimize their production processes by applying sensorization, robotization, artificial vision and data architecture technologies.

The visit began at the University of Vigo, with a tour of the spaces where Néboda has its R+D core, and ended at the Vigo company’s own facilities, where they grow vegetables such as basil, mustard or arugula, among others.

Néboda has been researching and experimenting with vertical farming for years. They have replaced the land with the cultivation of aromatic plants and leafy vegetables with a minimum supply of water and without phytosanitary products. They have tanks in which the water is recirculated, allowing nothing to be lost and saving on consumption, as well as improving the sustainability of the process.

An efficient cultivation method

The method they use to grow the plants is hydroponic. They use mineral solutions instead of agricultural soil, so the vegetables receive a nutrient, balanced solution dissolved in water, giving them the nourishment they need at all times.

They have managed to create a completely controlled environmental environment, maintaining optimal temperature and humidity and constant regulation of the light required by the plants.

It should be noted that these plants need a higher concentration of carbon for their proper development. That is why, at Néboda, they are already working on establishing collaborations with other startups that are dedicated to capturing carbon from the atmosphere to be able to channel it to their facilities and, there, enrich it for their crops. So, they can act as CO2 sinks.

Finally, they told us about their next steps. The company from Vigo is committed to automation and they are going to launch a robot that will access each of the cultivation ponds that will allow an analysis of the growth parameters of the plants. Through an artificial vision camera, the robot will take images of the crops and monitor the state of the vegetables in real time. This will allow for more efficient and automated monitoring, as well as better data collection and analysis.

The end consumers, currently, are restaurants that are committed to the fresh and powerful flavours offered by these plants and that have been achieved thanks to this new cultivation method. For now, they produce on a small scale, but they plan to be present in the retail channel in the short term.

# The piece is interrupted by records of crystals
┌──
No. 1
12
Lattice="-0.714 6.223 0.456 -3.748 0.875 -4.959 -7.140 -1.062 5.048" Properties=species:S:1:pos:R:3 comment="BaLi2HfCl8 PBE optimized geometry" formation_energy_uncorrected_ev_per_fu=-23.417 pbc="T T T"
Cl -8.789 1.175 0.213
Hf 0.000 0.000 0.000
Cl -3.364 5.301 -3.363
Cl -8.237 0.735 3.908
Cl -7.059 4.257 3.307
Cl -4.542 1.779 -2.763
Li -7.149 2.782 1.261
Li -4.453 3.254 -0.716
Ba -3.570 -0.531 2.524
Cl -2.812 4.861 0.332
Cl -6.602 4.278 -0.535
Cl -4.999 1.758 1.079

---

No. 2
5
Lattice="5.697 0.000 0.000 0.000 7.168 0.000 0.000 0.000 5.697" Properties=species:S:1:pos:R:3 comment="BaHfMnCl2 PBE optimized geometry" formation_energy_uncorrected_ev_per_fu=2.272 pbc="T T T"
Mn 0.000 3.584 0.000
Cl 2.848 0.000 0.000
Ba 0.000 0.000 0.000
Hf 2.848 3.584 2.848
Cl 0.000 0.000 2.848

---

No. 3
5
Lattice="5.046 0.000 0.000 0.000 5.046 0.000 0.000 0.000 5.155" Properties=species:S:1:pos:R:3 comment="BaHfP2Cl PBE optimized geometry" formation_energy_uncorrected_ev_per_fu=-5.595 e_above_lowest_polymorph_ev_per_atom=0.000 pbc="T T T"
P 2.523 0.000 0.000
Hf 0.000 0.000 0.000
Cl 0.000 0.000 2.578
Ba 2.523 2.523 2.578
P 0.000 2.523 0.000

---

Number 1: total DFT energy (no corrections) -4.49 eV per atom, N(E_F) 0.00 states/eV/f.u.. Number 2: total DFT energy (no corrections) -4.49 eV per atom, N(E_F) 7.01 states/eV/f.u.. Number 3: total DFT energy (no corrections) -6.03 eV per atom, N(E_F) 2.83 states/eV/f.u..


GGA-PBE TaSbTe3, optimized geometry; polymorph energy (0 for the lowest one) = 0 meV per atom; raw formation energy = 143.0 meV per atom
1.0
-4.8896 -0.5878 -2.8529
2.2675 -6.9492 -2.4528
-3.9326 0.6655 6.6002
Sb Te Ta
2 6 2
Cartesian
-3.0897 -2.0187 2.8682
-3.4653 -4.8527 -1.5732
-0.0728 -5.7229 -1.5331
-4.6764 -1.4539 -0.2012
-6.4818 -1.1485 2.8276
-5.4408 -4.3379 1.7020
-1.8782 -5.4177 1.4957
-1.1138 -2.5336 -0.4077
-0.1773 -7.2430 -3.8792
0.0000 0.0000 0.0000
└──

Biotechnology sectoral task force

This visit was part of the round table we held on October 10 on the biotechnology sector. These meetings between companies are part  of the EDIH DATAlife project and  aim  to improve knowledge of technologies and the adoption of digital strategies from a sectoral point of view, based on the real needs of each ecosystem. We also help companies find digital solution providers.

On this occasion, the purpose of the round table was to find out the level of implementation of digital technologies of the attending entities, in relation to the challenge selected in the first meeting: Lab 4.0. This meeting implied a visit to an entity in which the implementation of new technologies to improve production processes could be observed, so the facilities of Néboda Farms were visited.

To be able to carry out these conferences, we have the collaboration of our partners, the clusters that are part of the consortium of the EDIH DATAlife project. Bioga, the Business Technology Cluster of Life Sciences of Galicia, oversees developing, together with DATAlife, the tables oriented to the biotechnology sector.

The EDIH DATAlife project has a budget of almost 5.6 million euros and is funded  by the European Commission, with DIGITAL EUROPE funds, and by the Ministry of Industry, Trade and Tourism, with NextGeneration funds. These have allowed us to deploy a portfolio of services to accelerate the digital transformation of companies by implementing disruptive technologies to increase their competitiveness.